Please echo the part of the block further below that starts with the line with "The following" and stops after the one with "-0.6652 -0.4607".
<<<
The following is a quantum chemistry calculation of a molecular structure, C4H10O, from the Open Molecules 2025 dataset.

Cartesian coordinates (Å):
C: -1.6431 -1.2187 -0.0537
C: -0.7516 -0.2028 0.6974
C: 0.6351 -0.1895 0.0953
C: 1.5139 0.9500 0.6153
O: 0.2820 0.6396 -1.4640
H: -1.2667 -2.2627 -0.1504
H: -1.8127 -0.7417 -1.0236
H: -2.5805 -1.2274 0.5151
H: -1.2140 0.7972 0.5969
H: -0.6652 -0.4607 1.7752
H: 1.1322 -1.1236 0.3428
H: 1.8774 0.7017 1.6199
H: 2.3687 1.2139 -0.0210
H: 0.9572 1.8832 0.7503
H: 0.5525 -0.3357 -1.1743

Results
Total energy (eV): -6353.8904
ΔE to the lowest compared entry with this formula, charge and spin (kcal per mole): 90.2
Strongest force on any atom (eV/A): 5.720
Orbital gap (Ha): 0.3997

Quick look at the Löwdin charges, all values in e: -0.104, -0.253, -0.291, -0.088, -0.147, 0.086, 0.070, 0.069, 0.124, 0.124, 0.150, 0.079, 0.085, 0.083, 0.016
>>>
The following is a quantum chemistry calculation of a molecular structure, C4H10O, from the Open Molecules 2025 dataset.

Cartesian coordinates (Å):
C: -1.6431 -1.2187 -0.0537
C: -0.7516 -0.2028 0.6974
C: 0.6351 -0.1895 0.0953
C: 1.5139 0.9500 0.6153
O: 0.2820 0.6396 -1.4640
H: -1.2667 -2.2627 -0.1504
H: -1.8127 -0.7417 -1.0236
H: -2.5805 -1.2274 0.5151
H: -1.2140 0.7972 0.5969
H: -0.6652 -0.4607 1.7752